So for posterity's sake and memories sake I shall record the tale of his birth. (Don't worry, I won't be too graphic, but for any of you who don't love stories of labor and delivery, just skip on down. Kim, maybe you shouldn't read this :)
Well, as you can tell from previous posts, I was more than ready to deliver even though I had a few weeks to go. Why? Simply because I don't have 6-pound babies. I have almost 9-pound babies. Not so fun. So at my 35 week check-up, I was at a 1 and at my 36 week check-up, I moved to a 2, and at 37 weeks I was barely a 3. I had had a couple of days where I thought maybe I was going into labor as I started to have contractions, but sadly they always stopped. However, my doctor had predicted that he would be coming that weekend. Well the weekend came and went and still no baby. I'm getting really frustrated and plain awnry (more than the usual) at this point. I don't imagine I was too fun to be around.
So I tried walking and walking and walking some more. And then I tried a little bit more walking. Oh yeah, and did I mention I tried walking? Nothing. So some friends and family members suggested that I try some castor oil. And some other friends strongly suggested that I NOT try castor oil. I'd say an equal amount swore that it worked and others swore that I'd be sick and miserable and in the bathroom all night and still pregnant. What to do? On Sat. night, I hummed and hawed over it, and just couldn't bring myself to do it. I mean, I'm trying to get rid of my discomfort, not add to it, right? Then Sunday morning, I woke up still pregnant and probably at my very grumpiest. Everyone was getting ready for church and the thought of getting dressed, all fat and ugly was not appealing. Then when I went to take a shower and there was no hot water, I pretty much fell apart and declared "I'm not going!!" Needless to say, nobody begged me to come and everyone willingly left me behind :)
Then, by Sunday night, I just didn't care anymore. Could it possibly be that bad? So I did it. Except that I was kinda a wimp and I only did half the recommended dose (1oz instead of 2oz) mixed with orange juice. It was NASTY! It felt like I was drinking liquid Vaseline, with a hint of orange. (Oh, I think I just gagged again.) Then I went to bed. I woke around 2 in the morning with some severe stomach cramps. I'm thinking "Oh.My.Goodness. What have I just done to myself? This sucks!!" Spent a little time in the bathroom, then went back to bed. Then I woke up again at 3:30 in the morning, but with a different kind of cramping. Could these possibly be labor pains, I'm wondering???????? So I get up and walk around the house a bit and sure enough they are coming and going about every 5 minutes or so. But they're not too painful. Shouldn't it hurt more if they're real labor pains? And what happened to the part where I was supposed to be sick and in the bathroom ALL night long?? So I wait a little bit, thinking they're bound to stop on their own, as they had done the couple times before, but.....they don't!
So finally around 6ish, I wake Casey and tell him I think I'm in labor and let's go to the hospital before the contractions stop. I figure once I'm there, I will just refuse to leave. Even if they tell me it's a false alarm, I just won't go home. I simply won't do it. Then I wake my parents (who came up a few days prior to this) and tell them "I'm gonna go have a baby now!" Caiden hears me and says "What?! You're going to the hospital mom??? Now? The baby is coming now? Cool!!"
So we get there finally around 7ish, they check me and sure enough it is real labor and I'm at a 4. (Castor oil rocks! And I might add, it was rather ingenious of me to take only half the dose. Ingenious. Not weak.) So I ask the nurse what I have to be at in order to get an epidural. She sweetly replies, "Just a 4." Even though I'm not in too much pain, I quickly tell her I really, really want one of those.....right now. (I'm not one of those women who need to prove how tough I am. I figure I'm a woman, I can have babies, and it hurts. Nuff said. Let's just get on with the drugs already. I call it being smart.) So up comes Mr. Epidural Man (aka Ed) and I was a little nervous because I was really planning on Tim (the guy who did such an excellent job with Paige) but he proved to be just as good. About 4 hours later, my doctor (Dr. Russell) informs me it is about time. (She actually sped things up a bit with a little pitocin as she had somewhere she absolutely had to be at 1:00 and I was not open to another Dr. delivering my baby - just her.) Then about 4 pushes later, my little (or not so little) baby Preston was here!!!!! Weighing 8 pounds 8 ounces, 20 inches long (almost identical to Caiden who was 8 pounds 9 ounces, 20.5 inches long) except that Preston was almost 2 weeks early. I think I would have had a 10lb baby if I had gone another 2 weeks. Yikes!
They placed him on my chest (with my permission) right after he was born. He was very purple and a bit slimy. Kinda gross - but not when it's your own baby of course. Immediately we knew he was over 8 pounds.
Caiden and Paige were so excited to see him....
Caiden got to listen to his heart beat....
We were shocked at how much hair he had and how dark too! It might not seem like a lot but after 2 bald babies, one blonde and one red head, it was a bit surprising.
And from there, it's history. Everything with me and the baby checked out great, and we both went home the next day. Of course, once the epidural wore off I realized how sore I was (and how big he was) and had a little trouble walking for a couple of days. But now, not even a week has past and I feel pretty darn good. I have even squeezed into my jeans! Yay! (They're kinda tight and I usually only last in them for half a day before the sweats are back on, but still - it's something.)
And did I mention what a good baby he is? The first 2 nights I had to wake him to feed him. He would have slept all night had I not woken him. I kept waking up thinking, shouldn't he be crying? Isn't he hungry? So I'd go check on him, and he'd be sound asleep. Amazing baby he is. Then on the third night, he proved to be entirely normal and I got up about 6 times with him that night :) But it's okay. Now having gone through this 2 times before and knowing that yes, indeed, the day will come that I will sleep again, it's not as hard for me to get up in the night. I remember with Caiden (and even Paige) thinking that I would never sleep again. But I look back now and realize that is the shortest time, and even though I don't love being sleep deprived, I am trying to soak up every minute with him while he's this little. Plus the fact that I was functioning on about 3 hours of interrupted sleep a night during the last month of pregnancy is also making this a lot easier for me :). We've yet to have any uncontrollable crying spells. In fact, he doesn't cry much at all. Not even when he is hungry. It's more of a grunt and groan and a big ole wide mouth searching for food. It's too cute. I so hope this all continues.......
~~~
Sr4Te2PI PBE optimized geometry; M_tot = 0.00 Bohr magnetons per cell; formation energy without anion corrections = -1.52 eV/atom
1.0
-3.882 2.102 1.523
-4.383 -4.361 -5.151
-2.289 -6.906 3.697
Sr Te P I
4 2 1 1
Cartesian
-4.919 -8.224 -1.187 Sr
-5.635 -0.941 1.256 Sr
-5.785 -4.061 -1.980 Sr
-4.769 -5.104 2.049 Sr
-2.289 -6.906 3.697 Te
-3.086 -2.402 2.610 Te
-3.336 -5.634 -0.727 P
-4.132 -1.129 -1.814 I

~~~~~

Material: Hf2Pt2O5
Method: DFT, PBE
State: relaxed

Results
excess energy over the best structure of this formula in the dataset: 0.000 eV per formula unit
volume: 13.323 Å³ per atom
DFT total energy: -7.939 eV/atom
space group: P4/mmm (123)

Cell and atoms, written as CIF:
```
data_Hf2Pt2O5
_chemical_formula_sum 'Hf2 Pt2 O5'
_cell_length_a 3.7565
_cell_length_b 3.7565
_cell_length_c 8.4974
_cell_angle_alpha 90.00
_cell_angle_beta 90.00
_cell_angle_gamma 90.00
_space_group_name_H-M_alt 'P 1'
_space_group_IT_number 1
_space_group_name_Hall 'P 1'
loop_
_atom_site_label
_atom_site_type_symbol
_atom_site_fract_x
_atom_site_fract_y
_atom_site_fract_z
_atom_site_occupancy
Hf1 Hf 0.0000 0.0000 0.2344 1
Hf2 Hf 0.0000 0.0000 0.7656 1
Pt1 Pt 0.5000 0.5000 0.0000 1
Pt2 Pt 0.5000 0.5000 0.5000 1
O1 O 0.0000 0.0000 0.0000 1
O2 O 0.0000 0.5000 0.3327 1
O3 O 0.0000 0.5000 0.6673 1
O4 O 0.5000 0.0000 0.3327 1
O5 O 0.5000 0.0000 0.6673 1
```

=====

Material: BaSrCu2
Method: DFT, PBE
State: relaxed

Results
excess energy over the best structure of this formula in the dataset: 0.000 eV per formula unit
volume: 32.132 Å³ per atom
DFT total energy: -2.843 eV/atom
space group: P6_3mc (186)

Cell and atoms, written as CIF:
```
data_BaSrCu2
_chemical_formula_sum 'Ba2 Sr2 Cu4'
_cell_length_a 4.3615
_cell_length_b 4.3615
_cell_length_c 15.6031
_cell_angle_alpha 90.00
_cell_angle_beta 90.00
_cell_angle_gamma 120.00
_space_group_name_H-M_alt 'P 1'
_space_group_IT_number 1
_space_group_name_Hall 'P 1'
loop_
_atom_site_label
_atom_site_type_symbol
_atom_site_fract_x
_atom_site_fract_y
_atom_site_fract_z
_atom_site_occupancy
Ba1 Ba 0.3333 0.6667 0.0000 1
Ba2 Ba 0.6667 0.3333 0.5000 1
Sr1 Sr 0.3333 0.6667 0.7383 1
Sr2 Sr 0.6667 0.3333 0.2383 1
Cu1 Cu 0.0000 0.0000 0.3637 1
Cu2 Cu 0.0000 0.0000 0.8637 1
Cu3 Cu 0.3333 0.6667 0.3637 1
Cu4 Cu 0.6667 0.3333 0.8637 1
```

=====

Material: Pr
Method: DFT, PBE
State: relaxed

Results
excess energy over the best structure of this formula in the dataset: 0.560 eV per formula unit
volume: 36.061 Å³ per atom
DFT total energy: -4.215 eV/atom
space group: P3_121 (152)
formation energy from the elements: 0.560 eV per atom

Cell and atoms, written as CIF:
```
data_Pr
_chemical_formula_sum 'Pr3'
_cell_length_a 4.4310
_cell_length_b 4.4310
_cell_length_c 6.3625
_cell_angle_alpha 90.00
_cell_angle_beta 90.00
_cell_angle_gamma 120.00
_space_group_name_H-M_alt 'P 1'
_space_group_IT_number 1
_space_group_name_Hall 'P 1'
loop_
_atom_site_label
_atom_site_type_symbol
_atom_site_fract_x
_atom_site_fract_y
_atom_site_fract_z
~~~
Such a sleepy guy....
Isn't he so cute????? I just can't get enough of him!